EU Referendum

Data records, kept here for reference.
┌──
Record 1
# Be2TlHg (PBE, relaxed)
# Energy above the most stable polymorph in this dataset in eV/atom: 0.166
# Space-group type: No. 99
# DFT formation energy in eV per atom: 0.512
# DFT total energy in eV/atom: -2.02
data_Be2TlHg
_cell_length_a 3.0474
_cell_length_b 3.0474
_cell_length_c 7.9601
_cell_angle_alpha 90.00
_cell_angle_beta 90.00
_cell_angle_gamma 90.00
_space_group_name_H-M_alt 'P 1'
_space_group_IT_number 1
loop_
_space_group_symop_operation_xyz
'x,y,z'
loop_
_atom_site_label
_atom_site_type_symbol
_atom_site_fract_x
_atom_site_fract_y
_atom_site_fract_z
Be1 Be 0.0000 0.0000 0.0000
Be2 Be 0.5000 0.5000 0.0727
Tl1 Tl 0.5000 0.5000 0.6968
Hg1 Hg 0.0000 0.0000 0.3325

***

Record 2
# BeTlHg2 (PBE, relaxed)
# Energy above the most stable polymorph in this dataset in eV/atom: 0.251
# Space-group type: No. 65
# DFT formation energy in eV per atom: 0.523
# DFT total energy in eV/atom: -1.15
data_BeTlHg2
_cell_length_a 5.5054
_cell_length_b 8.7302
_cell_length_c 3.8752
_cell_angle_alpha 90.00
_cell_angle_beta 90.00
_cell_angle_gamma 90.00
_space_group_name_H-M_alt 'P 1'
_space_group_IT_number 1
loop_
_space_group_symop_operation_xyz
'x,y,z'
loop_
_atom_site_label
_atom_site_type_symbol
_atom_site_fract_x
_atom_site_fract_y
_atom_site_fract_z
Be1 Be 0.0000 0.0000 0.0000
Be2 Be 0.5000 0.5000 0.0000
Tl1 Tl 0.0000 0.5000 0.0000
Tl2 Tl 0.5000 0.0000 0.0000
Hg1 Hg 0.2500 0.2500 0.5000
Hg2 Hg 0.2500 0.7500 0.5000
Hg3 Hg 0.7500 0.2500 0.5000
Hg4 Hg 0.7500 0.7500 0.5000

***

Record 3
# Be2TlHg (PBE, relaxed)
# Energy above the most stable polymorph in this dataset in eV/atom: 0.182
# Space-group type: No. 44
# DFT formation energy in eV per atom: 0.529
# DFT total energy in eV/atom: -2.00
data_Be2TlHg
_cell_length_a 2.9487
_cell_length_b 4.0773
_cell_length_c 12.2864
_cell_angle_alpha 90.00
_cell_angle_beta 90.00
_cell_angle_gamma 90.00
_space_group_name_H-M_alt 'P 1'
_space_group_IT_number 1
loop_
_space_group_symop_operation_xyz
'x,y,z'
loop_
_atom_site_label
_atom_site_type_symbol
_atom_site_fract_x
_atom_site_fract_y
_atom_site_fract_z
Be1 Be 0.0000 0.0000 0.0000
Be2 Be 0.0000 0.5000 0.3595
Be3 Be 0.5000 0.0000 0.8595
Be4 Be 0.5000 0.5000 0.5000
Tl1 Tl 0.0000 0.0000 0.6207
Tl2 Tl 0.5000 0.5000 0.1207
Hg1 Hg 0.0000 0.5000 0.8498
Hg2 Hg 0.5000 0.0000 0.3498

***

Record 4
# Be2TlHg (PBE, relaxed)
# Energy above the most stable polymorph in this dataset in eV/atom: 0.418
# Space-group type: No. 65
# DFT formation energy in eV per atom: 0.764
# DFT total energy in eV/atom: -1.77
data_Be2TlHg
_cell_length_a 6.1330
_cell_length_b 7.2908
_cell_length_c 3.0862
_cell_angle_alpha 90.00
_cell_angle_beta 90.00
_cell_angle_gamma 90.00
_space_group_name_H-M_alt 'P 1'
_space_group_IT_number 1
loop_
_space_group_symop_operation_xyz
'x,y,z'
loop_
_atom_site_label
_atom_site_type_symbol
_atom_site_fract_x
_atom_site_fract_y
_atom_site_fract_z
Be1 Be 0.2500 0.2500 0.0000
Be2 Be 0.2500 0.7500 0.0000
Be3 Be 0.7500 0.2500 0.0000
Be4 Be 0.7500 0.7500 0.0000
└──

Cabotage to extinction


"Foreign trucks set to flood Britain's roads as Brussels passes new law," screamed The Mail on Sunday yesterday.

This is latest EU law on so-called "cabotage" – an odd word derived from the French. It means – in strict terms – the transport of goods or passengers between two (or more points) in the same country. So restrictive have cabotage provisions in road transport become, though, that they even prohibit trucks coming over here with full loads and then picking up return loads, so that they do not travel back empty. Equally, they prevent British trucks picking up return loads when they deliver goods to EU member states.

Although the practice has been permitted in EU member states since 1998, it is so heavily restricted that the trade accounts for less than one percent of truck journeys. Thus does the EU want to see further "liberalisation", the advantages of which are obvious. Overall, increased return loads would lead to a reduction of traffic on our roads, with all that that entailed.

This was exactly what the commission and the EU parliament in mind, the latter declaring when the transport committee approved the measure in January:

The purpose of the proposal is to avoid situations where trucks are forced to return home from their international transport operations with an empty load, thereby wasting time and fuel and producing unnecessary emissions.
However, while such a prospect might be tolerable for the advantages it gives us, the new law goes much further. Not only will foreign trucks be able to pick up return loads, they will acquire rights to pick up loads and deliver them to other points in the UK, competing for business alongside British operators. The plans are to make this practice completely unrestricted by 2014.

Says the MoS, as overseas hauliers use cheaper fuel and unregulated labour, particularly from Eastern Europe, British operators claim they will be unable to compete.

Few people disagree that this will lead to a massive influx of foreign trucks on our roads – and one in seven of the heaviest vehicles are already foreign. Thus, the Freight Transport Association claims that hundreds of British hauliers will be forced out of business. It adds that it will cost Britain up to £165million a year – £115million in lost fuel duty, £20million in vehicle excise duty and £30million in income tax.

Furthermore, the Department for Transport readily admits that foreign vehicles are statistically more likely to break key road safety rules, and has argued for limits on their activity in the UK. It told the MoS, "We are very strongly opposed to foreign hauliers being able to undertake unlimited work in the UK, unless we have the enforcement information and the powers needed to maintain road-safety standards."

Strongly opposed or not, this is going to happen – and there is nothing the UK can do to stop it. The measure has to be approved by the Council of Ministers next month but QMV applies, which means that the UK would be outvoted if it tried to resist.

Yet, in the fullness of time, you can bet that the Europhiliacs will be claiming this as one of the advantages of our membership of the EU – ignoring the fact that another British industry is on its way to extinction.